The northern Democrats' dilemma over slavery

Misplaced calculated crystals
Record 1
# CaEuAlBiO6
Simulated PXRD pattern, copper Kα. Input: a crystal structure in the Materials Project, relaxed with PBE.

Unit cell a=8.549 b=8.749 c=8.792 alpha=90.00 beta=90.00 gamma=90.00
Fractional positions:
Ca  0.000  0.000  0.000
Ca  0.000  0.000  0.500
Ca  0.000  0.500  0.000
Ca  0.500  0.000  0.500
Eu  0.000  0.500  0.500
Eu  0.500  0.000  0.000
Eu  0.500  0.500  0.000
Eu  0.500  0.500  0.500
Al  0.245  0.246  0.249
Al  0.245  0.754  0.751
Al  0.755  0.246  0.751
Al  0.755  0.754  0.249
Bi  0.239  0.240  0.750
Bi  0.239  0.760  0.250
Bi  0.761  0.240  0.250
Bi  0.761  0.760  0.750
O  0.013  0.224  0.221
O  0.013  0.776  0.779
O  0.224  0.222  0.483
O  0.224  0.481  0.275
O  0.224  0.519  0.725
O  0.224  0.778  0.517
O  0.278  0.278  0.019
O  0.278  0.722  0.981
O  0.282  0.015  0.222
O  0.282  0.985  0.778
O  0.482  0.275  0.276
O  0.482  0.725  0.724
O  0.518  0.275  0.724
O  0.518  0.725  0.276
O  0.718  0.015  0.778
O  0.718  0.985  0.222
O  0.722  0.278  0.981
O  0.722  0.722  0.019
O  0.776  0.222  0.517
O  0.776  0.481  0.725
O  0.776  0.519  0.275
O  0.776  0.778  0.483
O  0.987  0.224  0.779
O  0.987  0.776  0.221

Peak list (10 most intense, 2θ from 15° to 90°, low angle first)
2θ = 17.67°, intensity 57
2θ = 28.79°, intensity 52
2θ = 29.18°, intensity 100
2θ = 33.92°, intensity 15
2θ = 41.07°, intensity 17
2θ = 41.27°, intensity 16
2θ = 42.29°, intensity 15
2θ = 51.19°, intensity 23
2θ = 51.32°, intensity 22
2θ = 51.96°, intensity 21


Record 2
# Ge3P
Simulated PXRD pattern, copper Kα. Input: a crystal structure in the Materials Project, relaxed with PBE.

Unit cell a=5.905 b=5.905 c=4.855 alpha=90.00 beta=90.00 gamma=120.00
Fractional positions:
Ge  0.170  0.340  0.250
Ge  0.170  0.830  0.250
Ge  0.340  0.170  0.750
Ge  0.660  0.830  0.250
Ge  0.830  0.170  0.750
Ge  0.830  0.660  0.750
P  0.333  0.667  0.750
P  0.667  0.333  0.250

Peak list (10 most intense, 2θ from 15° to 90°, low angle first)
2θ = 25.30°, intensity 11
2θ = 30.27°, intensity 4
2θ = 35.09°, intensity 24
2θ = 37.04°, intensity 27
2θ = 39.85°, intensity 100
2θ = 51.94°, intensity 15
2θ = 62.96°, intensity 17
2θ = 68.64°, intensity 19
2θ = 75.35°, intensity 20
2θ = 77.15°, intensity 14


Record 3
# RhCl3
Simulated PXRD pattern, copper Kα. Input: a crystal structure in the Materials Project, relaxed with PBE.

Unit cell a=6.093 b=10.549 c=6.521 alpha=90.00 beta=108.14 gamma=90.00
Fractional positions:
Rh  0.000  0.167  0.000
Rh  0.000  0.833  0.000
Rh  0.500  0.333  0.000
Rh  0.500  0.667  0.000
Cl  0.217  0.000  0.212
Cl  0.247  0.323  0.212
Cl  0.247  0.677  0.212
Cl  0.253  0.177  0.788
Cl  0.253  0.823  0.788
Cl  0.283  0.500  0.788
Cl  0.717  0.500  0.212
Cl  0.747  0.177  0.212
Cl  0.747  0.823  0.212
Cl  0.753  0.323  0.788
Cl  0.753  0.677  0.788
Cl  0.783  0.000  0.788

Peak list (10 most intense, 2θ from 15° to 90°, low angle first)
2θ = 16.81°, intensity 19
2θ = 17.47°, intensity 34
2θ = 19.35°, intensity 25
2θ = 22.13°, intensity 16

From Making an Antislavery Nation: Lincoln, Douglas, and the Battle over Freedom.  Copyright 2017 by the Board of Trustees of the University of Illinois.  Used with permission of the University of Illinois Press.


On April 21, 1838 in Washington, D.C., Adam Snyder took a moment from his day to scribble some observations about slavery.  The Democratic congressman from Illinois had never opposed slavery.  Born impoverished in Pennsylvania, he had migrated to Illinois in 1817 and had risen rapidly due to talent, industry, and ambition--and the patronage of Illinois's prominent proslavery politician, Jesse B. Thomas.  Thomas deeply influenced Snyder's views of slavery.  Snyder supported Illinois's proslavery movement, purchased four slaves, and abhorred abolitionism.  Such a background makes his letter from Washington, D.C., in 1838 all the more fascinating.  He noted that "a poor man came the other day to get some information from me in regard to the country," doing so "with his hat off stooping and cringeing into my room, more humble than one of my negroes comes before me, it is so with all of them."  By contrast, every white Illinoisian "however poor he may be is proudly independent," wrote Snyder, "the equal of the richest and the highest," but in slave country the poor "are a different race," miserable "amongst the proud slave holders."  Certain that poor whites would be respected if they were "in the far west the owners of their own homes," he thought that "they ought to go to Illinois" even if "they took it on foot and lived all the way on parched corn."  Snyder did not criticize every aspect of slavery, or slavery everywhere, but he levied a damning indictment nonetheless.[1]

          Snyder's appraisal contrasts sharply with South Carolina senator John C. Calhoun's defense of slavery on the floor of Congress in 1837 and 1838.  Calhoun claimed that slavery was a "positive good" and deserved to be protected at all hazards against northern antislavery sentiment.  Slavery had "inseparably united" blacks and whites, he argued, securing "the peace and happiness of both."  Blacks had benefited especially, rising from a "low, degraded, and savage condition" to a relatively "civilized condition" under slaveholders' "fostering care."  This portrayal apparently did not persuade Snyder, who observed in his letter that "many of these Maryland & Virginia people" survive only due to "the Shad & Herring fisheries," and cannot adequately "feed their negroes," who consequently are "red headed and husky red skins," not "black & glossy."  The gulf between Calhoun's public declaration and Snyder's private views encapsulate the northern Democrats' dilemma over slavery.  Although northern Democrats prized the Union, Southerners prized both slavery and the Union, typically in that order.  Consequently, just as Calhoun's positive good defense of slavery became southern orthodoxy over the next two decades, so too did his declaration that his "first duty" was to the "slaveholding States" rather than to the Union, and his insistence that the Constitution protected slavery in the nation's territories.  Northern Democrats like Snyder could not easily swallow these doctrines.  Protecting slavery against abolitionism was one thing; promoting its expansion and perpetuity in concert with Southerners at the expense of northern whites was altogether another.  In this sense, Snyder's criticism of slavery was a harbinger of a very serious crisis in the Democratic Party.[2]


[1]John Francis Snyder, Adam W. Snyder and His Period in Illinois History, 1817-1842 (Virginia:  E. Needham, 1906; reprint, Ann Arbor:  University Microfilms, 1968), 1-63; Adam Snyder to Jesse B. Thomas, 23 Dec 1837, Box 29, Folder 4; Snyder to Hiram Snyder, 21 April 1838, Box 29, Folder 5, John F. Snyder Papers, ALPLM.

[2]Clyde N. Wilson, ed., The Papers of John C. Calhoun, vol. 13 (Columbia:  University of South Carolina Press, 1980), 395 ("positive good" and civilization quotes); Wilson, ed., The Papers of John C. Calhoun, vol. 14 (Columbia:  University of South Carolina Press, 1981), 31-32, 82-84 ("first duty" and race relations quotes); Adam Snyder to Hiram Snyder, 21 April 1838, Box 29, Folder 5, John F. Snyder Papers, ALPLM.